Work order:
Duplicate everything below word for word, please.

Excerpt:
<<<
# DyHo2In3Pt2
Calculated powder diffraction line list, Cu Ka. Input: a structure optimized by DFT (PBE).
Peak positions follow from Bragg's law for the DFT cell and can differ from measured ones.

Atomic structure:
abc: 3.6067 13.3606 7.7115
angles: 90.00 90.00 90.00
Space group Amm2 (No. 38)
Asymmetric unit:
Dy 0.0000 0.0000 0.0000 x2
Ho 0.0000 0.2106 0.3682 x4
In 0.5000 0.0000 0.3484 x2
In 0.5000 0.1152 0.6941 x4
Pt 0.5000 0.1668 0.0789 x4

Peak list (10 most intense, 10° ≤ 2θ ≤ 80°, sorted by position)
13.26°, rel. 27; 34.04°, rel. 100; 35.56°, rel. 70; 36.67°, rel. 69; 40.52°, rel. 19; 50.62°, rel. 17; 55.79°, rel. 21; 63.39°, rel. 26; 66.27°, rel. 17; 69.57°, rel. 24

~~~~~

For RbMgP2Pt4, DFT lattice parameters and positions (GGA-PBE) gives the theoretical powder diffractogram in this record (Cu Kα X-rays).
No peak broadening, texture or thermal motion is included.

Cell and atoms:
a = 4.0413 Å, b = 4.0413 Å, c = 10.3759 Å
α = 90.00°, β = 90.00°, γ = 90.00°
Sites, in units of the cell vectors:
1 Rb 0.0000 0.0000 0.0000
2 Mg 0.0000 0.0000 0.5000
3 P 0.5000 0.5000 0.2088
4 P 0.5000 0.5000 0.7912
5 Pt 0.0000 0.5000 0.3187
6 Pt 0.0000 0.5000 0.6813
7 Pt 0.5000 0.0000 0.3187
8 Pt 0.5000 0.0000 0.6813

Top 10 peaks for 2θ from 10° to 90°, in order of rising 2θ:
2θ 17.09, I 84; 2θ 25.76, I 92; 2θ 31.30, I 69; 2θ 32.50, I 57; 2θ 35.88, I 86; 2θ 40.97, I 100; 2θ 44.86, I 66; 2θ 52.45, I 55; 2θ 54.66, I 48; 2θ 80.05, I 29



For MgSn2P2Pt7, DFT lattice parameters and positions (GGA-PBE) gives the theoretical powder diffractogram in this record (Cu Kα X-rays).
No peak broadening, texture or thermal motion is included.

Cell and atoms:
a = 15.1022 Å, b = 15.1022 Å, c = 15.1022 Å
α = 165.19°, β = 165.19°, γ = 21.00°
Sites, in units of the cell vectors:
1 Mg 0.0000 0.0000 0.0000
2 Sn 0.2119 0.2119 0.0000
3 Sn 0.7881 0.7881 0.0000
4 P 0.3848 0.3848 0.0000
5 P 0.6152 0.6152 0.0000
6 Pt 0.0709 0.5709 0.5000
7 Pt 0.3067 0.3067 0.0000
8 Pt 0.4291 0.9291 0.5000
9 Pt 0.5000 0.5000 0.0000
10 Pt 0.5709 0.0709 0.5000
11 Pt 0.6933 0.6933 0.0000
12 Pt 0.9291 0.4291 0.5000

Top 10 peaks for 2θ from 10° to 90°, in order of rising 2θ:
2θ 23.05, I 26; 2θ 23.97, I 54; 2θ 33.10, I 73; 2θ 34.76, I 29; 2θ 37.39, I 100; 2θ 44.90, I 52; 2θ 46.67, I 68; 2θ 53.14, I 26; 2θ 68.14, I 22; 2θ 80.39, I 23



For Sr2MgP3Pt4, DFT lattice parameters and positions (GGA-PBE) gives the theoretical powder diffractogram in this record (Cu Kα X-rays).
No peak broadening, texture or thermal motion is included.

Cell and atoms:
a = 4.2854 Å, b = 4.2854 Å, c = 10.2803 Å
α = 90.00°, β = 90.00°, γ = 90.00°
Sites, in units of the cell vectors:
1 Sr 0.0000 0.5000 0.2435
2 Sr 0.5000 0.0000 0.7565
3 Mg 0.0000 0.0000 0.5000
4 P 0.0000 0.5000 0.8738
5 P 0.5000 0.0000 0.1262
6 P 0.5000 0.5000 0.5000
7 Pt 0.0000 0.0000 0.0000
8 Pt 0.0000 0.5000 0.6420
9 Pt 0.5000 0.0000 0.3580
10 Pt 0.5000 0.5000 0.0000

Top 10 peaks for 2θ from 10° to 90°, in order of rising 2θ:
2θ 26.00, I 37; 2θ 27.09, I 40; 2θ 30.76, I 72; 2θ 33.48, I 34; 2θ 34.35, I 100; 2θ 42.17, I 65; 2θ 46.32, I 41; 2θ 49.15, I 26; 2θ 50.22, I 26; 2θ 72.08, I 23



Repeat the first record exactly.
For RbMgP2Pt4, DFT lattice parameters and positions (GGA-PBE) gives the theoretical powder diffractogram in this record (Cu Kα X-rays).
No peak broadening, texture or thermal motion is included.

Cell and atoms:
a = 4.0413 Å, b = 4.0413 Å, c = 10.3759 Å
α = 90.00°, β = 90.00°, γ = 90.00°
Sites, in units of the cell vectors:
1 Rb 0.0000 0.0000 0.0000
2 Mg 0.0000 0.0000 0.5000
3 P 0.5000 0.5000 0.2088
4 P 0.5000 0.5000 0.7912
5 Pt 0.0000 0.5000 0.3187
6 Pt 0.0000 0.5000 0.6813
7 Pt 0.5000 0.0000 0.3187
8 Pt 0.5000 0.0000 0.6813

Top 10 peaks for 2θ from 10° to 90°, in order of rising 2θ:
2θ 17.09, I 84; 2θ 25.76, I 92; 2θ 31.30, I 69; 2θ 32.50, I 57; 2θ 35.88, I 86; 2θ 40.97, I 100; 2θ 44.86, I 66; 2θ 52.45, I 55; 2θ 54.66, I 48; 2θ 80.05, I 29



Please write out number 3 again, unchanged.
>>>

Worked solution:
# DyHo2In3Pt2
Calculated powder diffraction line list, Cu Ka. Input: a structure optimized by DFT (PBE).
Peak positions follow from Bragg's law for the DFT cell and can differ from measured ones.

Atomic structure:
abc: 3.6067 13.3606 7.7115
angles: 90.00 90.00 90.00
Space group Amm2 (No. 38)
Asymmetric unit:
Dy 0.0000 0.0000 0.0000 x2
Ho 0.0000 0.2106 0.3682 x4
In 0.5000 0.0000 0.3484 x2
In 0.5000 0.1152 0.6941 x4
Pt 0.5000 0.1668 0.0789 x4

Peak list (10 most intense, 10° ≤ 2θ ≤ 80°, sorted by position)
13.26°, rel. 27; 34.04°, rel. 100; 35.56°, rel. 70; 36.67°, rel. 69; 40.52°, rel. 19; 50.62°, rel. 17; 55.79°, rel. 21; 63.39°, rel. 26; 66.27°, rel. 17; 69.57°, rel. 24

~~~~~

For RbMgP2Pt4, DFT lattice parameters and positions (GGA-PBE) gives the theoretical powder diffractogram in this record (Cu Kα X-rays).
No peak broadening, texture or thermal motion is included.

Cell and atoms:
a = 4.0413 Å, b = 4.0413 Å, c = 10.3759 Å
α = 90.00°, β = 90.00°, γ = 90.00°
Sites, in units of the cell vectors:
1 Rb 0.0000 0.0000 0.0000
2 Mg 0.0000 0.0000 0.5000
3 P 0.5000 0.5000 0.2088
4 P 0.5000 0.5000 0.7912
5 Pt 0.0000 0.5000 0.3187
6 Pt 0.0000 0.5000 0.6813
7 Pt 0.5000 0.0000 0.3187
8 Pt 0.5000 0.0000 0.6813

Top 10 peaks for 2θ from 10° to 90°, in order of rising 2θ:
2θ 17.09, I 84; 2θ 25.76, I 92; 2θ 31.30, I 69; 2θ 32.50, I 57; 2θ 35.88, I 86; 2θ 40.97, I 100; 2θ 44.86, I 66; 2θ 52.45, I 55; 2θ 54.66, I 48; 2θ 80.05, I 29



For MgSn2P2Pt7, DFT lattice parameters and positions (GGA-PBE) gives the theoretical powder diffractogram in this record (Cu Kα X-rays).
No peak broadening, texture or thermal motion is included.

Cell and atoms:
a = 15.1022 Å, b = 15.1022 Å, c = 15.1022 Å
α = 165.19°, β = 165.19°, γ = 21.00°
Sites, in units of the cell vectors:
1 Mg 0.0000 0.0000 0.0000
2 Sn 0.2119 0.2119 0.0000
3 Sn 0.7881 0.7881 0.0000
4 P 0.3848 0.3848 0.0000
5 P 0.6152 0.6152 0.0000
6 Pt 0.0709 0.5709 0.5000
7 Pt 0.3067 0.3067 0.0000
8 Pt 0.4291 0.9291 0.5000
9 Pt 0.5000 0.5000 0.0000
10 Pt 0.5709 0.0709 0.5000
11 Pt 0.6933 0.6933 0.0000
12 Pt 0.9291 0.4291 0.5000

Top 10 peaks for 2θ from 10° to 90°, in order of rising 2θ:
2θ 23.05, I 26; 2θ 23.97, I 54; 2θ 33.10, I 73; 2θ 34.76, I 29; 2θ 37.39, I 100; 2θ 44.90, I 52; 2θ 46.67, I 68; 2θ 53.14, I 26; 2θ 68.14, I 22; 2θ 80.39, I 23



For Sr2MgP3Pt4, DFT lattice parameters and positions (GGA-PBE) gives the theoretical powder diffractogram in this record (Cu Kα X-rays).
No peak broadening, texture or thermal motion is included.

Cell and atoms:
a = 4.2854 Å, b = 4.2854 Å, c = 10.2803 Å
α = 90.00°, β = 90.00°, γ = 90.00°
Sites, in units of the cell vectors:
1 Sr 0.0000 0.5000 0.2435
2 Sr 0.5000 0.0000 0.7565
3 Mg 0.0000 0.0000 0.5000
4 P 0.0000 0.5000 0.8738
5 P 0.5000 0.0000 0.1262
6 P 0.5000 0.5000 0.5000
7 Pt 0.0000 0.0000 0.0000
8 Pt 0.0000 0.5000 0.6420
9 Pt 0.5000 0.0000 0.3580
10 Pt 0.5000 0.5000 0.0000

Top 10 peaks for 2θ from 10° to 90°, in order of rising 2θ:
2θ 26.00, I 37; 2θ 27.09, I 40; 2θ 30.76, I 72; 2θ 33.48, I 34; 2θ 34.35, I 100; 2θ 42.17, I 65; 2θ 46.32, I 41; 2θ 49.15, I 26; 2θ 50.22, I 26; 2θ 72.08, I 23



Repeat the first record exactly.
For RbMgP2Pt4, DFT lattice parameters and positions (GGA-PBE) gives the theoretical powder diffractogram in this record (Cu Kα X-rays).
No peak broadening, texture or thermal motion is included.

Cell and atoms:
a = 4.0413 Å, b = 4.0413 Å, c = 10.3759 Å
α = 90.00°, β = 90.00°, γ = 90.00°
Sites, in units of the cell vectors:
1 Rb 0.0000 0.0000 0.0000
2 Mg 0.0000 0.0000 0.5000
3 P 0.5000 0.5000 0.2088
4 P 0.5000 0.5000 0.7912
5 Pt 0.0000 0.5000 0.3187
6 Pt 0.0000 0.5000 0.6813
7 Pt 0.5000 0.0000 0.3187
8 Pt 0.5000 0.0000 0.6813

Top 10 peaks for 2θ from 10° to 90°, in order of rising 2θ:
2θ 17.09, I 84; 2θ 25.76, I 92; 2θ 31.30, I 69; 2θ 32.50, I 57; 2θ 35.88, I 86; 2θ 40.97, I 100; 2θ 44.86, I 66; 2θ 52.45, I 55; 2θ 54.66, I 48; 2θ 80.05, I 29



Please write out number 3 again, unchanged.